Relax (don’t do it?)
I suppose the religious analogy is with the ‘last days’ where everything is in a state of chaos and confusion and expectation of the second coming. For us, right now, there are some definite parallels. The chaos and confusion is there, certainly. There are even a couple of candidates for the AntiChrist figure. But the expectation is there too. The expectation of a return – but not of a messiah, rather to some semblance of normality.
As we are told we can relax the constraints a little, we’re nervous about whether we should, whether we dare. We’re suspicious of motivation and confused by the science and the welter of statistics. And in the midst of this, there are a few other things going on. The Brexit trade talks for instance, which appear to be going nowhere. The refusal to countenance an extension to the deadline, a position which is so pig headed, so wrong headed, as to defy belief. The brutal murder of George Floyd and the outpouring of grief and anger which has resulted. The changes we hope may result from that. And the climate emergency. No, that hasn’t gone away.
As a writer I’ve always felt a responsibility, and a desire, to deal with events and crises around me in some way and when Simon Armitage announced that a key part of his role as laureate would be to tackle the climate emergency in his work, Mole Valley Poets, of which I am a member, took up the challenge. Our latest anthology is the result, or maybe just the beginnings of a result. In Even in the Shadows – poems for the planet a baker’s dozen of poets respond to the climate emergency, looking at the threats, the feelings and the stirrings of hope.
Normally we would launch an anthology in the pub. Not this time. Instead we are following up on a successful run of on line meetings by launching the anthology on line at 7.30pm on 15th June. Contributors will share their work and I will be introducing and MCing the event, and reading. And in the absence of a crowded pub attendees will have to provide their own drinks and lift a glass from a distance.
Joining the event will be easy, with invitations issued to your email address and no need to download anything. Tickets are £6, and all attendees will receive a free copy of the anthology. As usual, the evening will be interesting, varied and thought provoking with some fine poets reading their work.
In recent weeks quite a few of us have also been responding to the Covid crisis and we’re looking to some form of on line sharing of that work too – perhaps by an adjustment to our website. Maybe the next poetic outpouring will be race related? We’re a very white bunch but maybe that puts even more onus on us. A subject for another blog with more focus.
- - -
A plane-wave DFT calculation with PBE was carried out for a relaxed CaCd2AgBi crystal.

a b c (Å): 5.7030 5.7030 5.3523
angles (deg): 90.00 90.00 90.00
Closest atoms and distances in Å follow each position.
Space group P4/mmm (No. 123)
Inequivalent atoms, fractional coordinates:
Ca: 0.0000 0.0000 0.0000 [1 per cell]  2 Ag 2.68, 4 Cd 2.85
Cd: 0.0000 0.5000 0.0000 [2 per cell]  2 Ca 2.85
Ag: 0.0000 0.0000 0.5000 [1 per cell]  2 Ca 2.68
Bi: 0.5000 0.5000 0.5000 [1 per cell]  8 Cd 3.91, 4 Ag 4.03

Calculated values
Density of states at the Fermi level = 5.2 states/eV per cell
Total magnetic moment = 0.0 μB/f.u.
E_tot = -1.446 eV per atom

=====

This record from the Alexandria database describes a relaxed CrPbO3 crystal. The functional is GGA+U.

The space group is P2_1/c (No. 14) and the conventional cell measures 7.2873, 5.1566 and 7.1421 Å, with angles of 90.00, 101.18 and 90.00 degrees. The asymmetric unit holds Cr at (0.0800, 0.2476, 0.4437), Pb at (0.3532, 0.7278, 0.3330), O at (0.0520, 0.0799, 0.6770), O at (0.1696, 0.5864, 0.5552) and O at (0.3181, 0.1383, 0.4448).

As for the total magnetization: 2.0 μB per formula unit. For the energy, the calculation gives -6.604 eV/atom.

=====

<1>
Density functional theory data (PBE) for a relaxed structure of ZnRhI2O.

## Properties
ρ in g/cm³: 6.075

Geometry as CIF:
```
data_ZnRhI2O
_cell_length_a 5.644
_cell_length_b 5.644
_cell_length_c 3.759
_cell_angle_alpha 90.00
_cell_angle_beta 90.00
_cell_angle_gamma 90.00
_space_group_name_H-M_alt 'P 1'
_space_group_IT_number 1
loop_
_space_group_symop_operation_xyz
'x,y,z'
loop_
_atom_site_label
_atom_site_type_symbol
_atom_site_fract_x
_atom_site_fract_y
_atom_site_fract_z
I1 I 0.000 0.500 0.000
I2 I 0.500 0.000 0.000
Zn1 Zn 0.500 0.500 0.500
Rh1 Rh 0.000 0.000 0.000
O1 O 0.000 0.000 0.500
```

=====

<2>
Density functional theory data (PBE) for a relaxed structure of ZnRhI2O.

## Properties
ρ in g/cm³: 6.245

Geometry as CIF:
```
data_ZnRhI2O
_cell_length_a 5.700
_cell_length_b 5.700
_cell_length_c 3.586
_cell_angle_alpha 90.00
_cell_angle_beta 90.00
_cell_angle_gamma 90.00
_space_group_name_H-M_alt 'P 1'
_space_group_IT_number 1
loop_
_space_group_symop_operation_xyz
'x,y,z'
loop_
_atom_site_label
_atom_site_type_symbol
_atom_site_fract_x
_atom_site_fract_y
_atom_site_fract_z
I1 I 0.000 0.500 0.000
I2 I 0.500 0.000 0.000
Zn1 Zn 0.000 0.000 0.000
Rh1 Rh 0.500 0.500 0.500
O1 O 0.000 0.000 0.500
```

=====

It is <1> that is the most stable of them.

=====

<1>
Density functional theory data (PBE) for a relaxed structure of ZrRhI2O.

## Properties
ρ in g/cm³: 6.502

Geometry as CIF:
```
data_ZrRhI2O
_cell_length_a 5.645
_cell_length_b 5.645
_cell_length_c 3.718
_cell_angle_alpha 90.00
_cell_angle_beta 90.00
_cell_angle_gamma 90.00
_space_group_name_H-M_alt 'P 1'
_space_group_IT_number 1
loop_
_space_group_symop_operation_xyz
'x,y,z'
loop_
_atom_site_label
_atom_site_type_symbol
_atom_site_fract_x
_atom_site_fract_y
_atom_site_fract_z
I1 I 0.000 0.500 0.000
- - -
### The crystal structures stop here
Tickets for the launch event are available on –